Yosha Wijngaarden defended her PhD titled: ‘Places of co-working: Situating innovation in the creative industries’. In this interview, Yosha reflects on her journey and updates us on her current engagements.
== The piece is interrupted by materials data ==
+++
Entry 1:
This entry pairs a crystal structure of CeMgCd2 with its calculated powder diffractogram. Radiation: Cu Kα (weighted mean of Kα1 and Kα2). Structure: a PBE-relaxed structure.
Intensities are scaled so that the largest is 100.

Cell and atoms:
```
data_CeMgCd2
_symmetry_space_group_name_H-M 'F m -3 m'
_symmetry_Int_Tables_number 225
_symmetry_space_group_name_Hall '-F 4 2 3'
_cell_length_a 7.3242
_cell_length_b 7.3242
_cell_length_c 7.3242
_cell_angle_alpha 90.00
_cell_angle_beta 90.00
_cell_angle_gamma 90.00
loop_
_atom_site_label
_atom_site_fract_x
_atom_site_fract_y
_atom_site_fract_z
Ce1 0.0000 0.0000 0.0000
Mg1 0.0000 0.0000 0.5000
Cd1 0.2500 0.2500 0.2500
```

Most intense lines, 2θ from 5° to 70°, in order of rising 2θ:
21.01 deg, 4.229 Å, I 19, (1 1 1); 24.30 deg, 3.662 Å, I 3, (2 0 0); 34.64 deg, 2.589 Å, I 100, (2 2 0); 40.86 deg, 2.208 Å, I 10, (3 1 1); 42.77 deg, 2.114 Å, I 1, (2 2 2); 49.80 deg, 1.831 Å, I 17, (4 0 0); 54.62 deg, 1.680 Å, I 5, (3 3 1); 56.16 deg, 1.638 Å, I 1, (4 2 0); 62.08 deg, 1.495 Å, I 35, (4 2 2); 66.31 deg, 1.410 Å, I 3, (5 1 1)

***

Entry 2:
This entry pairs a crystal structure of ZrV2 with its calculated powder diffractogram. Radiation: Cu Kα (weighted mean of Kα1 and Kα2). Structure: a PBE-relaxed structure.
Intensities are scaled so that the largest is 100.

Cell and atoms:
Cell: 7.3603 7.3603 7.3603 Å, 90.00 90.00 90.00°
Space group Fd-3m (No. 227, origin choice 2)
Unique sites:
1 Zr 0.1250 0.1250 0.1250 (multiplicity 8)
2 V 0.0000 0.0000 0.5000 (multiplicity 16)

Most intense lines, 2θ from 5° to 70°, in order of rising 2θ:
20.90 deg, 4.249 Å, I 3, (1 1 1); 34.46 deg, 2.602 Å, I 52, (2 2 0); 40.65 deg, 2.219 Å, I 100, (3 1 1); 42.55 deg, 2.125 Å, I 21, (2 2 2); 54.33 deg, 1.689 Å, I 1, (3 3 1); 61.74 deg, 1.502 Å, I 18, (4 2 2); 65.95 deg, 1.416 Å, I 29, (5 1 1)

***

Entry 3:
This entry pairs a crystal structure of ZnCuF4 with its calculated powder diffractogram. Radiation: Cu Kα (weighted mean of Kα1 and Kα2). Structure: a PBE-relaxed structure.
Intensities are scaled so that the largest is 100.

Cell and atoms:
```
data_ZnCuF4
_symmetry_space_group_name_H-M 'P 1'
_symmetry_Int_Tables_number 1
_cell_length_a 5.1450
_cell_length_b 5.1828
_cell_length_c 6.2207
_cell_angle_alpha 65.62
_cell_angle_beta 65.59
_cell_angle_gamma 89.98
loop_
_symmetry_equiv_pos_as_xyz
'x,y,z'
loop_
_atom_site_label
_atom_site_fract_x
_atom_site_fract_y
_atom_site_fract_z
Zn1 0.0000 0.0000 0.0000
Zn2 0.4969 0.5016 0.0011
Cu1 0.2454 0.7461 0.4990
Cu2 0.7486 0.2449 0.5009
F1 0.0719 0.5620 0.2342
F2 0.1885 0.0636 0.2320
F3 0.3043 0.4309 0.7662
F4 0.4265 0.9276 0.7728
F5 0.5718 0.6988 0.2294
F6 0.6900 0.1947 0.2341
F7 0.8019 0.2989 0.7693
F8 0.9290 0.8011 0.7684
```

Most intense lines, 2θ from 5° to 70°, in order of rising 2θ:
+++
Rashid: Yosha, you have recently completed your PhD and received the title that we all strive for; my sincere congratulation! Could you please share with us what the PhD journey was like for you?
Yosha: Thanks, Rashid! I am incredibly happy to finally have obtained the title, absolutely! Though PhD journeys are often described as ‘bumpy’ or ‘challenging’, I do not remember mine as such. After a year, there was a plan. I followed the plan, more or less. Of course, there were challenges. Having a baby during a PhD is awesome, but balancing changing diapers and reflecting upon your epistemological considerations takes some practice. Adding two additional empirical chapters just because I had (in my opinion) great new ideas is awesome, but having to integrate those while also writing the introduction and conclusion in five weeks verges on masochism. Luckily, I have great colleagues and friends who have been of tremendous help in putting everything together, making sense of my sloppy grammar and elegantly endured my complaints. So, yes, it’s done, and I must admit, that moment when you open your first box of books is quite unforgettable (as is the moment when you notice your first printed typo).
Between two parts of the article: materials data
Diffraction record for Cs4Sb2Se5. The powder diffraction line list is simulated, not measured: it uses a cell relaxed with GGA-PBE and Cu Kα (λ = 1.5418 Å).

Peak list (10 most intense, 2θ from 5° to 70°, sorted by position)
| two_theta | intensity |
| --- | --- |
| 15.54 | 25.5 |
| 20.36 | 30.2 |
| 20.76 | 39.6 |
| 23.66 | 49.5 |
| 25.19 | 52.4 |
| 27.00 | 35.3 |
| 28.69 | 60.8 |
| 29.21 | 100.0 |
| 29.67 | 30.8 |
| 42.23 | 30.9 |

Structure:
a b c (Å): 7.391 7.391 10.253
angles (deg): 102.14 102.14 70.76
Fractional coordinates of all 11 atoms:
Cs1 0.000 0.000 0.000
Cs2 0.322 0.322 0.282
Cs3 0.561 0.561 0.047
Cs4 0.689 0.689 0.625
Sb1 0.237 0.237 0.766
Sb2 0.972 0.972 0.386
Se1 0.010 0.010 0.653
Se2 0.026 0.483 0.931
Se3 0.320 0.849 0.336
Se4 0.483 0.026 0.931
Se5 0.849 0.320 0.336

~~~~~

Entry 1:
This entry pairs a crystal structure of Lu2Mo2C3 with its computed powder XRD pattern. Radiation: Cu Kα (weighted mean of Kα1 and Kα2). Structure: DFT lattice parameters and positions (PBE).

Cell and atoms:
Lattice parameters (Å, degrees): 11.258 3.342 5.599 90.00 109.18 90.00
Space group C2/m (No. 12)
Unique sites:
Lu 0.116 0.000 0.318 [4 per cell]
Mo 0.148 0.500 0.866 [4 per cell]
C 0.000 0.500 0.000 [2 per cell]
C 0.231 0.000 0.753 [4 per cell]

Main lines, in order of rising 2θ (2θ = 15–90°):
hkl 2 0 -2, 32.49 deg, I 43
hkl 4 0 0, 33.72 deg, I 46
hkl 1 1 1, 34.24 deg, I 100
hkl 3 1 -1, 37.05 deg, I 88
hkl 2 0 2, 42.92 deg, I 22
hkl 0 2 0, 54.94 deg, I 16
hkl 3 1 -3, 57.20 deg, I 28
hkl 5 1 1, 58.76 deg, I 17

=====

Entry 2:
This entry pairs a crystal structure of Na2LuPCO7 with its computed powder XRD pattern. Radiation: Cu Kα (weighted mean of Kα1 and Kα2). Structure: DFT lattice parameters and positions (PBE).

Cell and atoms:
Lattice parameters (Å, degrees): 5.275 6.902 9.149 90.00 90.62 90.00
Space group P2_1/m (No. 11)
Unique sites:
Na 0.234 0.001 0.217 [4 per cell]
Lu 0.221 0.250 0.639 [2 per cell]
P 0.292 0.750 0.580 [2 per cell]
C 0.268 0.250 0.930 [2 per cell]
O 0.045 0.250 0.865 [2 per cell]
O 0.190 0.750 0.418 [2 per cell]
O 0.198 0.566 0.659 [4 per cell]
O 0.296 0.250 0.068 [2 per cell]
O 0.412 0.250 0.427 [2 per cell]
O 0.463 0.250 0.840 [2 per cell]

Main lines, in order of rising 2θ (2θ = 15–90°):
hkl 0 1 1, 16.09 deg, I 100
hkl 1 0 -1, 19.34 deg, I 37
hkl 1 1 0, 21.20 deg, I 75
hkl 1 0 -2, 25.64 deg, I 36
hkl 0 2 0, 25.82 deg, I 51
hkl 1 0 2, 25.92 deg, I 55
hkl 1 2 -1, 32.46 deg, I 37
hkl 2 0 0, 33.99 deg, I 32

=====

Entry 3:
This entry pairs a crystal structure of LuNiC2 with its computed powder XRD pattern. Radiation: Cu Kα (weighted mean of Kα1 and Kα2). Structure: DFT lattice parameters and positions (PBE).

Cell and atoms:
Lattice parameters (Å, degrees): 3.468 4.497 5.959 90.00 90.00 90.00
Space group Amm2 (No. 38)
Unique sites:
Lu 0.000 0.000 0.000 [2 per cell]
Ni 0.500 0.000 0.611 [2 per cell]
C 0.500 0.153 0.300 [4 per cell]

Main lines, in order of rising 2θ (2θ = 15–90°):
hkl 0 1 1, 24.80 deg, I 37
Rashid: That’s funny! May I ask about that important moment right before you were assigned the “Dr” title? What was it like to bring all these experiences, challenges, opportunities and discoveries to a culmination in the defence?
Yosha: Well, to be honest, it was nerve-wracking! I always praised myself for being quite stress-proof, but evidently, I need to revisit this assumption. I only now appreciate the layman’s speech our university requests (which is not the case for some other Dutch universities), as it allows you to take control over the situation – at least for fifteen minutes. About halfway through the questions, I actually started to enjoy the conversation with the committee. But what I remember most vividly is the moment after Hora Est – when the committee leaves to discuss the candidate’s defence. While I was surrounded by my friends/colleagues/paranymphs Anouk, Rian and Simone and – presumably – discussed the questions and defence in general, I suddenly realised I was done. This huge task that had driven me for six years was over. I remember the world suddenly getting some The Matrix-like properties – as a video in slow-motion. Absolutely fascinating! After that, my brain shut off, so I only have faint memories of actually receiving the degree, shaking some hands and drinking some beer at the reception, and having Indian food (my favourite) with the committee, my supervisors and some colleagues. But, as we would say in Dutch: “gelukkig hebben we de foto’s nog”.[1]

These records of crystals were left in the piece by mistake.
+++
Entry 1:
Computed powder diffractogram of Sr3Li2Ag2Hg4 for Cu Kα X-rays, from a crystal structure in Alexandria, relaxed with GGA-PBE.
Neutral-atom scattering factors, no anomalous dispersion.

Principal peaks in the range 5 to 70 degrees two-theta, in order of rising 2θ:
d (Å), I_rel
15.024, 36
3.756, 32
3.709, 81
3.247, 31
2.819, 95
2.463, 100
2.060, 38
1.855, 28
1.493, 29
1.482, 27

Atomic structure:
```
Sr3Li2Ag2Hg4
1.0
4.9254 0.0000 0.0000
-2.4627 4.2656 0.0000
0.0000 0.0000 15.0242
Sr Li Ag Hg
3 2 2 4
Direct
0.0000 0.0000 0.0000
0.0000 0.0000 0.2659
0.0000 0.0000 0.7341
0.3333 0.6667 0.5672
0.6667 0.3333 0.4328
0.3333 0.6667 0.1374
0.6667 0.3333 0.8626
0.3333 0.6667 0.3865
0.3333 0.6667 0.8649
0.6667 0.3333 0.1351
0.6667 0.3333 0.6135
```

---

Entry 2:
Computed powder diffractogram of AcTb3Tm4 for Cu Kα X-rays, from a crystal structure in Alexandria, relaxed with GGA-PBE.
Neutral-atom scattering factors, no anomalous dispersion.

Principal peaks in the range 5 to 70 degrees two-theta, in order of rising 2θ:
d (Å), I_rel
2.998, 63
2.934, 34
2.885, 55
2.841, 100
2.741, 18
2.476, 27
2.416, 37
1.657, 20
1.506, 16
1.499, 29

Atomic structure:
```
AcTb3Tm4
1.0
12.0616 0.0000 0.0000
0.0000 13.0540 0.0000
-1.0284 0.0000 3.3770
Ac Tb Tm
2 6 8
Direct
0.0000 0.0000 0.0000
0.5000 0.5000 0.0000
0.0000 0.2609 0.5000
0.0000 0.5000 0.0000
0.0000 0.7391 0.5000
0.5000 0.0000 0.0000
0.5000 0.2391 0.5000
0.5000 0.7609 0.5000
0.2415 0.3616 0.2415
0.2415 0.6384 0.2415
0.2585 0.1384 0.7585
0.2585 0.8616 0.7585
0.7415 0.1384 0.2415
0.7415 0.8616 0.2415
0.7585 0.3616 0.7585
0.7585 0.6384 0.7585
```

---

Entry 3:
Computed powder diffractogram of BaSiP6Ru2 for Cu Kα X-rays, from a crystal structure in Alexandria, relaxed with GGA-PBE.
Neutral-atom scattering factors, no anomalous dispersion.

Principal peaks in the range 5 to 70 degrees two-theta, in order of rising 2θ:
d (Å), I_rel
6.301, 100
3.603, 13
3.214, 53
2.863, 65
2.430, 13
2.250, 52
1.780, 17
1.607, 17
1.599, 19
1.557, 13

Atomic structure:
```
BaSiP6Ru2
1.0
3.2142 1.8557 6.3011
-3.2142 1.8557 6.3011
0.0000 -3.7114 6.3011
Ba Si P Ru
1 1 6 2
Direct
0.0000 0.0000 0.0000
0.5000 0.5000 0.5000
0.1178 0.5540 0.5481
0.4460 0.4519 0.8822
0.4519 0.8822 0.4460
0.5481 0.1178 0.5540
0.5540 0.5481 0.1178
0.8822 0.4460 0.4519
0.3145 0.3145 0.3145
0.6855 0.6855 0.6855
```

---

Entry 4:
Computed powder diffractogram of AlPb for Cu Kα X-rays, from a crystal structure in Alexandria, relaxed with GGA-PBE.
Neutral-atom scattering factors, no anomalous dispersion.

Principal peaks in the range 5 to 70 degrees two-theta, in order of rising 2θ:
d (Å), I_rel
6.497, 41
3.731, 100
2.708, 41
2.684, 60
2.669, 57
2.660, 39
2.645, 66
2.279, 29
1.744, 23
1.731, 22

Atomic structure:
```
AlPb
1.0
3.4196 0.0000 0.0000
0.0000 4.5578 0.0000
-1.5915 0.0000 6.4972
Al Pb
2 2
Direct
0.0578 0.2500 0.1166
0.9422 0.7500 0.8834
0.3314 0.2500 0.6689
0.6686 0.7500 0.3311
```

---

Entry 5:
+++
Rashid: And…what do you do now that it’s all over?
Yosha: Luckily, not much has changed, except for my title. Since September 2019, I have been working as a postdoc at the Arts and Culture Studies department, together with Ellen Loots on an Instituut Gak funded project. We aim to gain in-depth and up-to-date insights into the income position and earning capacity of the creative sector in the Netherlands by addressing a number of questions. We all know this image of a "vulnerable and disadvantaged" sector, but is this also true? And if so, to what extent, and why? Which opportunities (and threats) can we expect from new practices and business models? For example, I am now working on a sub-project on cooperatives. This is a super exciting extension of my PhD research, in which I studied the effects of the physical proximity of creatives (e.g. in co-working spaces) on their innovativeness and professional development. I’m also still teaching some courses (both in M&C and ACS) and supervising MA theses – which is great!
[1] Luckily, we still have the pictures